Regulatory Reform in the 118th Congress: Separation of Powers Restoration Act
The separation of powers is a key aspect of American government. To decentralize power and ensure checks and balances, the Founders divided the federal government into three branches – legislative, executive, and judicial – with distinct and independent powers. The legislative (Congress) writes the laws, the executive (regulatory agencies) administers the laws, and the judicial (Supreme Court) interprets the laws.
In recent years, however, the separation of powers has been undermined by Congress’ overdelegation of legislative powers to regulatory agencies in the executive. The separation of powers has been further degraded by the Supreme Court’s abdication of judicial review through Chevron and Auer deference, by which the Court grants agencies the ability to interpret the laws. This is properly the judiciary’s job.
Together, delegation and deference to regulatory agencies in the executive branch have enabled a massive expansion of administrative power at the federal level. Contrary to the ideals of the American founding, regulatory agencies now have control over wide swathes of our economy and society.
The continued growth of the size and scope of the bureaucracy is exactly what the Separation of Powers Restoration Act (SOPRA) tries to stop and prevent.
• The article is interrupted by calculated molecules:
~~~
The molecule C19H19ClO3. Source: OMol25; level of theory: ωB97M-V/def2-TZVPD.

Geometry (Å):
C (0.666, 1.325, 1.759)
C (-0.626, 1.584, 1.812)
C (-1.724, 0.564, 1.929)
C (-1.263, -0.842, 1.669)
C (-1.152, -1.771, 2.686)
C (-0.695, -3.058, 2.417)
C (-0.560, -4.048, 3.483)
O (-0.159, -5.178, 3.342)
C (-0.361, -3.417, 1.109)
C (-0.473, -2.509, 0.072)
O (-0.225, -2.786, -1.241)
C (0.284, -4.055, -1.608)
C (1.772, -4.203, -1.307)
C (-0.913, -1.198, 0.360)
O (-1.086, -0.247, -0.594)
C (-0.072, -0.052, -1.573)
C (0.259, 1.418, -1.626)
C (-0.767, 2.355, -1.628)
C (-0.488, 3.708, -1.644)
C (0.832, 4.128, -1.667)
Cl (1.192, 5.819, -1.686)
C (1.868, 3.208, -1.672)
C (1.575, 1.857, -1.646)
H (1.395, 2.113, 1.676)
H (1.051, 0.319, 1.794)
H (-0.972, 2.609, 1.780)
H (-2.160, 0.631, 2.930)
H (-2.505, 0.822, 1.209)
H (-1.408, -1.494, 3.698)
H (-0.865, -3.674, 4.480)
H (-0.033, -4.432, 0.949)
H (-0.294, -4.855, -1.131)
H (0.117, -4.105, -2.687)
H (2.118, -5.172, -1.655)
H (1.965, -4.125, -0.240)
H (2.334, -3.425, -1.819)
H (0.825, -0.625, -1.331)
H (-0.452, -0.395, -2.545)
H (-1.790, 2.013, -1.603)
H (-1.285, 4.435, -1.640)
H (2.892, 3.548, -1.688)
H (2.382, 1.139, -1.640)

Values from the calculation:
charge	0
SMILES	C=CCc1cc(C=O)cc(OCC)c1OCc1ccc(Cl)cc1

A cluster of 3 separate species, H6N6 in total in a non-equilibrium geometry. Source: OMol25; level of theory: ωB97M-V/def2-TZVPD.

Geometry (Å):
H (-0.951, 0.238, -1.518)
N (-1.028, -0.457, -0.748)
N (-1.890, -0.231, 0.089)
N (-2.671, 0.825, 0.012)
H (-3.360, 0.944, 0.735)
H (-2.545, 1.529, -0.717)
N (2.631, 1.021, 0.469)
N (3.438, 0.910, -0.291)
N (1.679, -0.982, 0.524)
H (0.763, -0.934, 0.082)
H (1.592, -1.346, 1.464)
H (2.342, -1.517, -0.098)

Values from the calculation:
energy relative to the best compared isomer or geometry (same formula, charge and spin)	0.0	kcal/mol
charge	0
SMILES	[H]/N=N\N.N#N.N

A structure of composition C5H3Br3O2 in a non-equilibrium geometry. Source: OMol25; level of theory: ωB97M-V/def2-TZVPD.

Geometry (Å):
C (1.728, 0.100, -0.638)
C (1.077, 0.255, 0.531)
C (0.754, 0.102, -1.724)
C (-0.444, 0.275, 0.315)
C (-1.303, -0.625, 1.046)
O (0.952, 0.024, -2.886)
O (-0.510, 0.062, -1.044)
Br (-0.958, 2.253, 0.492)
Br (-1.266, -2.468, 0.375)
Br (-3.230, -0.146, 0.868)
H (2.805, 0.212, -0.831)
H (1.561, 0.597, 1.426)
H (-1.164, -0.641, 2.070)

Values from the calculation:
energy relative to the best compared isomer or geometry (same formula, charge and spin)	0.0	kcal/mol
charge	0

A structure of composition C32H26N5O3PdS3. Source: OMol25; level of theory: ωB97M-V/def2-TZVPD.

Geometry (Å):
Pd (1.269, -2.173, 1.942)
C (-2.646, 1.283, 1.624)
C (-2.209, 2.171, 0.493)
C (-2.271, 3.556, 0.601)
C (-1.906, 4.383, -0.452)
C (-1.477, 3.834, -1.650)
C (-1.398, 2.455, -1.774)
C (-1.742, 1.634, -0.711)
N (-1.627, 0.217, -0.873)
C (-0.616, -0.547, -0.318)
N (1.340, 0.294, -1.526)
C (2.652, -0.144, -1.462)
C (2.956, -0.675, -0.199)
C (4.263, -1.103, 0.091)
C (5.221, -0.982, -0.884)
~~~
The legislation, introduced by Representative Scott Fitzgerald (R-WI) earlier this year, would amend the Administrative Procedure Act to require courts to conduct a de novo (from scratch) review of all relevant questions of law and regulation when they are called into question. This would help restore constitutional order and reassert Congress’s role in writing the laws and the Court’s job in interpreting them.
8 unconnected molecules or ions with the total composition C60H72N10O2 in a non-equilibrium geometry, computed with ωB97M-V/def2-TZVPD.

Frontier orbital gap (eV): 6.9
LUMO (eV): -1.14
HOMO level (eV): -8.03
Energy (a.u.): -3027.3708
SMILES: C=CN1C(=O)c2c(CCCCN)c(-c3ccncc3)c([C@H](C)CCC)c(CCc3ccccc3)c2C1=O.c1cc[nH]c1.c1cc[nH]c1.c1cc[nH]c1.c1cc[nH]c1.c1cc[nH]c1.c1cc[nH]c1.c1cc[nH]c1

Structure (ORCA input):
```
! wB97M-V def2-TZVPD RIJCOSX def2/J DEFGRID3
* xyz 0 1
C 4.8857 -0.8169 1.3469
C 3.9878 -0.3342 0.4558
N 2.8218 0.4658 0.8766
C 2.3638 1.3840 -0.1533
O 3.1270 2.1782 -0.6314
C 0.8768 1.0544 -0.4418
C -0.0791 1.6807 -1.3423
C 0.4224 2.8968 -2.1805
C -0.5583 4.1256 -2.2373
C -1.0206 4.6800 -0.8312
C 0.0298 4.4915 0.3332
N -0.3756 5.3349 1.5049
C -1.4173 1.0814 -1.4017
C -2.4866 1.6630 -2.3706
C -3.5248 2.6221 -1.9281
C -4.4512 3.1107 -2.9362
N -4.4960 2.7703 -4.2517
C -3.5230 1.8999 -4.6363
C -2.5030 1.2881 -3.8004
C -1.7795 -0.0908 -0.5501
C -3.1992 -0.7333 -0.5597
C -3.7011 -1.1928 -1.9917
C -4.1981 0.3556 0.0891
C -4.8444 -0.1909 1.4419
C -5.0359 0.9442 2.5218
C -0.7543 -0.6441 0.3723
C -1.0396 -1.8537 1.3554
C -0.6297 -3.2028 0.6323
C -1.6383 -3.7214 -0.4339
C -1.3031 -3.6332 -1.8512
C -2.2157 -4.1461 -2.8804
C -3.5159 -4.7275 -2.5300
C -3.8571 -4.7805 -1.1014
C -2.9365 -4.3100 -0.0816
C 0.6035 -0.0952 0.4351
C 1.8173 -0.4982 1.3081
O 1.9591 -1.3513 2.1359
H 5.6711 -1.5350 1.0211
H 4.8243 -0.5536 2.4283
H 4.1876 -0.5605 -0.6251
H 1.3563 3.2650 -1.6676
H 0.7671 2.5918 -3.2103
H -1.4556 3.9657 -2.8939
H 0.0174 4.9635 -2.7328
H -1.1489 5.7951 -0.9631
H -2.0516 4.3092 -0.5718
H -0.0737 3.4307 0.7027
H 1.0835 4.7255 0.0209
H 0.2764 5.2228 2.2781
H -0.4976 6.3093 1.2310
H -3.5228 2.8969 -0.8552
H -5.2265 3.8407 -2.5841
H -3.5064 1.6189 -5.7232
H -1.7454 0.5769 -4.1926
H -3.2890 -1.6267 0.1100
H -4.3108 -2.1261 -1.8305
H -4.4357 -0.4230 -2.3649
H -2.8883 -1.3642 -2.7341
H -3.5843 1.2600 0.3517
H -5.0407 0.6064 -0.6115
H -5.8757 -0.6050 1.2451
H -4.2397 -1.0252 1.8951
H -5.7516 1.7219 2.1333
H -5.5318 0.5040 3.4350
H -4.0808 1.4096 2.8695
H -0.3621 -1.6898 2.2379
H -2.0901 -1.8286 1.7364
H -0.4618 -3.9645 1.4441
H 0.3727 -3.0541 0.1401
H -0.3460 -3.1758 -2.1876
H -1.9657 -4.1002 -3.9619
H -4.2293 -5.1144 -3.2890
H -4.8411 -5.2003 -0.7975
H -3.2397 -4.4066 0.9887
N 0.3229 2.9998 -6.5105
C 0.4817 2.0285 -7.4625
C 1.7568 2.1248 -7.9567
C 2.3954 3.1914 -7.2736
C 1.4881 3.7097 -6.3865
H -0.5178 3.1656 -5.9838
H -0.3252 1.3559 -7.7059
H 2.1845 1.4980 -8.7232
H 3.4065 3.5391 -7.4162
H 1.5686 4.5207 -5.6803
N -3.0986 -4.2185 4.0921
C -3.8481 -5.3642 4.0389
C -4.8896 -5.2292 4.9195
C -4.7689 -3.9513 5.5241
C -3.6574 -3.3506 4.9922
H -2.2681 -4.0417 3.5538
H -3.5741 -6.1740 3.3814
H -5.6546 -5.9658 5.1083
H -5.4238 -3.5209 6.2652
H -3.2157 -2.3842 5.1762
N -3.2581 7.1588 1.0030
C -3.1555 7.7084 -0.2420
C -4.3009 8.4205 -0.4901
C -5.1254 8.3011 0.6588
C -4.4527 7.5188 1.5642
H -2.5594 6.5791 1.4395
H -2.2763 7.5437 -0.8424
H -4.5214 8.9672 -1.3934
The House bill has 12 cosponsors. Companion legislation in the Senate was most recently introduced by then-Senator Ben Sasse (R-NE) in 2019.
While the bill would do much to strip unjustified power from unelected bureaucrats, some improvements can be made. As noted by former CEI Senior Fellow William Yeatman:
… there is the possibility that the bill could lead to significant increase in workload for the judiciary. In the event SOPRA becomes law, Congress should be prepared to invest in Article III resources if it becomes apparent that courts are strained. For about $100 million annually, the judiciary could hire another 36 appellate judges and 140 district court judges, plus the accompanying clerks and assistants. That’s chump change as far as the federal budget is concerned.
Nevertheless, it is worth noting that SOPRA was included in a larger regulatory reform measure, the Regulatory Accountability Act, introduced this year by Representative Beth Van Duyne (R-TX). Stay tuned for further CEI analysis of this bill and all the other pieces of legislation included in it.
As we said in a 2016 CEI-led coalition letter supporting SOPRA:
Millions of Americans are suffering under the weight of burdensome regulation, and often find themselves unable to challenge effectively unjust rules as a result of these judicial doctrines. SOPRA is one of the ways in which we can lift this oppressive burden from their backs.
____________
[1]
The following is a DFT calculation (wB97M-V/def2-TZVPD) of the molecule BrClFNO.

Properties
SMILES: FN(Br)OCl

Cartesian coordinates (Å):
F -0.1787 1.2476 -0.1251
N -0.4202 -0.1483 -0.3197
Br -2.2464 -0.4624 -0.0344
O 0.3542 -0.7438 0.5695
Cl 1.8512 -0.9801 -0.1754

---

[2]
The following is a DFT calculation (wB97M-V/def2-TZVPD) of a 2-piece molecular cluster, BrClH4Si2 overall.

Cartesian coordinates (Å):
Si -1.1472 1.0996 1.8357
Si -2.2079 4.1921 -1.1741
Cl -0.8764 -0.2428 0.3085
Br -0.7018 5.0748 0.3577
H 0.2508 1.1423 2.5461
H -1.0245 2.2620 1.0107
H -2.4533 0.7893 2.4324
H -2.1221 2.8825 -0.5061

---

[3]
The following is a DFT calculation (wB97M-V/def2-TZVPD) of a 2-piece molecular cluster, BrClHIN2 overall.

Properties
SMILES: Cl/N=N/I.Br

Cartesian coordinates (Å):
Cl -0.6123 -2.3335 0.1426
N 0.8562 -1.4258 0.3417
N 0.6456 -0.3207 -0.1236
I 1.8982 1.2618 0.1838
Br -2.0707 1.6605 -0.0358
H -0.7170 1.1577 -0.5087

---

Results for energy above the lowest of the compared OMol25 structures with the same formula, charge and spin: 2.5943 2.3767 0.2856 (in eV, following the order of the records).
Results for Kohn-Sham gap: 9.41 7.99 8.72 (in eV, following the order of the records).
Results for lowest unoccupied orbital energy: -1.10 -1.29 -1.40 (in eV, following the order of the records).
____________
**Here the entry continues**
This post is part of an occasional series looking at regulatory reform bills in Congress. Previous posts cover the REINS Act, the GOOD Act, the Less Is More Resolution, the Article I Regulatory Budget Act, and the ALERT Act.